Learning to Say ‘No’ is Lesson in Itself

I opened my Writing Prompts book and read this:

“Write about a time you said ‘No.'”

I almost looked for another prompt, probably because the subject sounded boring, but the real reason is, I am afraid of it. I’m not good at saying no, but I can honestly say I am aware of my problem. As the saying goes, you have to pick your battles.

I, like everyone else, am a work in progress. No one is perfect, but we learn from our mistakes to become better versions of ourselves.

With that being said, I can tell you, I don’t say no very often. It’s not that I can’t, I just really want to help people when I can. And when I can’t, I find a way to gently tell them no.

There was a time when I couldn’t say no because I felt powerless; I was afraid of making people mad, afraid they wouldn’t accept me as I was, afraid they would reject me. I wanted to be liked so much, I became a doormat, and did things I didn’t want to do just to please that person.

I became a people-pleaser. Like the term co-dependent, I hate the term people-pleaser, because it’s a label, and doesn’t do much to help the person in these situations. All it does is undermine your self-respect, self-esteem, and confidence. I should know. People have been labeling me my whole life.

“You’re a pest, you’re accident prone, you break everything you touch…”

I am a nice person. I am generous. I love to help people. This is the way God made me.

I have a hard time saying no because I want to change the world, but it doesn’t mean I don’t say no. Which bring us to my prompt for today:

As a parent, we tell our kids ‘no’ all the time. As an employee, we try not to say no too much or the boss will think we’re a slacker. So when was a time I said no, because I didn’t want to do something I didn’t want to do?

My daughter recently asked me to drive my grandson back to Des Moines and I didn’t want to.

I know I shouldn’t need an excuse, but I really didn’t have the time.

Does that count?

She might have been disappointed, but she didn’t say or show it. However, I told her I could help out when I had more time, a promise she took me up on.

Maybe the reason I don’t like to say no is because I hate to disappoint people I care about. I know how it feels. And disappointment sucks.

I know I’m not responsible for people’s feelings; it’s another mindset I am in the process of changing. But if I have the chance to bring a little sunshine to someone’s gloomy day, I’m going to try hard as hell to make it happen.

It’s a fine-line: I want to help people, but I don’t want to feel like a doormat ever again. Some people take advantage of kindness, and others see it as a weakness.

I’m not going to stop being kind. But I am learning to say no those who don’t appreciate it.


Passion Outweighs Moderation

Today’s writing prompt:

What area of your life do you tend to enjoy in excess instead of moderation?

Obsession and passion are the same thing, just different perspectives. So I suppose I could say the things I enjoy in excess are simply passions in disguise.

I write. A lot.

I get up in the morning and work on my website, tributecr.com, and create the day’s inspiring message and update the upcoming events and news. Then, it’s off to my day job as a Benefits Specialist for a local car dealership.

I might work out at the gym during my lunch hour, where I take notes about the things I want to write about when I get home, or I might interview someone for a news story. Sometimes I even take my laptop to work and use my hour to write.

Finally, it’s 5 o’clock, and I hurry home to get back on my computer, and either blog, work on my stories, or write news articles.

In a few short hours, its time for bed, and I set the clock for 5:30 am, so I can do it all again.

At first glance, one might think my excess lies in writing, but who can put a limit on creativity? Besides, who would want to?

Next to the page, the page also holds data records >
~~~
VASP calculation (PBE-GGA) on a geometry-optimized CaHgPb structure.

Cell lengths 5.1518, 5.1518, 7.5587 Å; angles 90.00, 90.00, 120.00 degrees
Space group P6_3/mmc (No. 194)
Unique sites:
Ca  0.0000  0.0000  0.0000
Hg  0.3333  0.6667  0.2500
Pb  0.3333  0.6667  0.7500

Values from the calculation:
- formation energy (meV per atom) = -352.2
- crystal system = hexagonal

=====

# 1
Below is a relaxed U4Ga12Pd crystal, with properties calculated at the meta-GGA r2SCAN level.

E = -1.0553 Ha/atom
Energy relative to the elements = -479.1 meV/atom

Cell: 8.5998 8.5998 8.6654 Å, 90.00 90.00 90.00°
Closest atoms and distances in Å follow each position.
Space group I4/mmm (No. 139)
Inequivalent atoms, fractional coordinates:
U1 0.2500 0.2500 0.2500 (multiplicity 8)  12 Ga 3.04-3.08
Ga1 0.0000 0.0000 0.2042 (multiplicity 4)  1 Pd 2.56, 4 Ga 2.79
Ga2 0.0000 0.2510 0.0000 (multiplicity 8)  8 Ga 2.77-3.05, 4 U 3.05
Ga3 0.0000 0.2951 0.5000 (multiplicity 8)  1 Pd 2.54, 4 Ga 2.77-2.79
Ga4 0.0000 0.5000 0.2500 (multiplicity 4)  8 Ga 2.79-3.05, 4 U 3.04
Pd1 0.0000 0.0000 0.5000 (multiplicity 2)  6 Ga 2.54-2.56

---

# 2
Below is a relaxed Ho2B6Os crystal, with properties calculated at the meta-GGA r2SCAN level.

E = -0.6923 Ha/atom
Energy relative to the elements = -746.9 meV/atom

Cell: 9.1160 11.4813 3.6408 Å, 90.00 90.00 90.00°
Closest atoms and distances in Å follow each position.
Space group Pbam (No. 55)
Inequivalent atoms, fractional coordinates:
Ho1 0.0558 0.1266 0.0000 (multiplicity 4)  12 B 2.59-2.61, 2 Os 2.85-2.86
Ho2 0.1783 0.4141 0.0000 (multiplicity 4)  14 B 2.71-2.80
B1 0.0168 0.2869 0.5000 (multiplicity 4)  3 B 1.79-1.86
B2 0.0537 0.5669 0.5000 (multiplicity 4)  3 B 1.77-1.82
B3 0.1102 0.9694 0.5000 (multiplicity 4)  2 B 1.79-1.81
B4 0.1319 0.8145 0.5000 (multiplicity 4)  3 B 1.72-1.79
B5 0.2091 0.2332 0.5000 (multiplicity 4)  3 B 1.72-1.86
B6 0.2477 0.5799 0.5000 (multiplicity 4)  3 B 1.77-1.81
Os1 0.1373 0.6785 0.0000 (multiplicity 4)  10 B 2.33-2.40

---

# 3
Below is a relaxed YbHCl crystal, with properties calculated at the meta-GGA r2SCAN level.

E = -0.6129 Ha/atom
Energy relative to the elements = -1298.3 meV/atom

Cell: 3.3686 3.3686 8.6522 Å, 90.00 90.00 90.00°
Closest atoms and distances in Å follow each position.
Space group P4/nmm (No. 129, origin choice 2)
Inequivalent atoms, fractional coordinates:
Yb1 0.2500 0.2500 0.1520 (multiplicity 2)  4 H 2.14
H1 0.2500 0.7500 0.0000 (multiplicity 2)  4 Yb 2.14, 4 H 2.38
Cl1 0.2500 0.2500 0.6650 (multiplicity 2)  4 Yb 2.86

---

# 4
Below is a relaxed Er2GaCo2 crystal, with properties calculated at the meta-GGA r2SCAN level.

E = -0.7910 Ha/atom
Energy relative to the elements = -370.5 meV/atom

Cell: 4.0799 5.2901 8.1729 Å, 90.00 90.00 90.00°
Closest atoms and distances in Å follow each position.
Space group Immm (No. 71)
Inequivalent atoms, fractional coordinates:
Er1 0.0000 0.0000 0.2058 (multiplicity 4)  6 Co 2.84-2.88, 4 Ga 3.13-3.15
~~~
Back to the page >

However, I think we are being asked to focus more on the things we enjoy in excess that aren’t particularly good for us, like sweets or potato chips. I also drink too much coffee and pop. And though I love to bake, it means I have to eat it too, so I suppose the answer to the above question is: I enjoy eating, though excessively is a bit strong.

## Here the page breaks off for calculated crystals
- - -
Here is a geometry-optimized Mn2OF3 structure from the Materials Project database. Energies are from PBE with a Hubbard U.

Cell: 4.831 5.804 13.643 Å, 78.87 89.15 88.98°
Positions (direct):
Mn: 0.497 0.300 0.600
Mn: 0.548 0.686 0.405
Mn: 0.496 0.097 0.201
Mn: 0.015 0.792 0.596
Mn: 0.970 0.401 0.814
Mn: 0.987 0.221 0.398
Mn: 0.993 0.997 0.000
Mn: 0.496 0.503 0.002
Mn: 0.478 0.904 0.786
Mn: 0.010 0.607 0.198
F: 0.688 0.821 0.927
F: 0.797 0.107 0.539
F: 0.193 0.071 0.862
F: 0.305 0.577 0.860
F: 0.300 0.371 0.465
F: 0.809 0.922 0.140
F: 0.803 0.727 0.738
F: 0.295 0.186 0.061
F: 0.190 0.284 0.256
F: 0.211 0.884 0.453
F: 0.198 0.477 0.672
F: 0.696 0.227 0.738
F: 0.691 0.426 0.140
F: 0.324 0.768 0.270
F: 0.702 0.024 0.340
O: 0.818 0.530 0.334
O: 0.793 0.303 0.948
O: 0.312 0.001 0.656
O: 0.192 0.694 0.060
O: 0.692 0.591 0.540

Calculated values
The symmetry is P1 (1). The value obtained for the formation energy is -2601 meV per atom.


Computed, not measured: a relaxed structure of CsMg6B at the GGA-PBE level of DFT.

Computed properties:
Energy relative to the elements, meV per atom: 428
ΔE to the lowest computed polymorph, eV per formula unit: 0.43
Crystal system: orthorhombic

Cell: 3.488 9.494 14.086 Å, 90.00 90.00 90.00°
Space group Amm2 (No. 38)
Asymmetric unit:
Cs 0.000 0.000 0.000 [2 per cell]
Mg 0.000 0.233 0.236 [4 per cell]
Mg 0.500 0.000 0.353 [2 per cell]
Mg 0.500 0.000 0.755 [2 per cell]
Mg 0.500 0.143 0.568 [4 per cell]
B 0.000 0.000 0.646 [2 per cell]


1.
# AsPbF7 PBE-GGA relaxed
data_AsPbF7
_cell_length_a 4.772
_cell_length_b 7.416
_cell_length_c 7.676
_cell_angle_alpha 105.67
_cell_angle_beta 101.07
_cell_angle_gamma 90.88
_symmetry_space_group_name_H-M 'P 1'
_symmetry_Int_Tables_number 1
loop_
_symmetry_equiv_pos_as_xyz
'x,y,z'
loop_
_atom_site_label
_atom_site_fract_x
_atom_site_fract_y
_atom_site_fract_z
As1 0.648 0.811 0.711
As2 0.352 0.189 0.289
Pb1 0.182 0.350 0.805
Pb2 0.818 0.650 0.195
F1 0.139 0.185 0.069
F2 0.436 0.795 0.490
F3 0.564 0.205 0.510
F4 0.506 0.023 0.811
F5 0.494 0.977 0.189
F6 0.372 0.680 0.761
F7 0.861 0.815 0.931
F8 0.278 0.578 0.085
F9 0.077 0.060 0.337
F10 0.203 0.402 0.389
F11 0.722 0.422 0.915
F12 0.797 0.598 0.611
F13 0.628 0.320 0.239
F14 0.923 0.940 0.663
# SG	P-1 (2)
# electronic total energy	-4.619	eV per atom
# formation energy from the elements	-23.03	eV/f.u.

2.
# As2PbXe3F18 PBE-GGA relaxed
data_As2PbXe3F18
_cell_length_a 8.910
_cell_length_b 8.910
_cell_length_c 11.339
_cell_angle_alpha 83.91
_cell_angle_beta 83.91
_cell_angle_gamma 90.30
_symmetry_space_group_name_H-M 'P 1'
_symmetry_Int_Tables_number 1
loop_
_symmetry_equiv_pos_as_xyz
'x,y,z'
loop_
_atom_site_label
_atom_site_fract_x
_atom_site_fract_y
_atom_site_fract_z
As1 0.200 0.200 0.398
As2 0.500 0.000 0.000
As3 0.800 0.800 0.602
As4 0.000 0.500 0.000
Pb1 0.286 0.286 0.721
Pb2 0.714 0.714 0.279
Xe1 0.205 0.683 0.336
Xe2 0.000 0.000 0.000
Xe3 0.795 0.317 0.664
Xe4 0.317 0.795 0.664
Xe5 0.683 0.205 0.336
Xe6 0.500 0.500 0.000
- - -
## The page goes on

But who am I  kidding … I’ve never been able to do anything in moderation.

Happiness or Success?

My writing prompt for today poses the question,“What do you want more out of life? Happiness or Success?”

Success means something different to everyone. But then again, being happy does, too.

Some people believe being successful means having a lot of money, fame, or power. But to me, a successful person is someone who has a pretty good handle on life. And if you have a good attitude and the determination to keep moving forward, being a success can take on a whole new meaning.

I have goals I would like to achieve, such as writing a best-seller, or doing something to change the world. And, by some miracle, if I do achieve these goals, I might be considered a success by some, but what really matters most is how I perceive it.

And honestly, even if I don’t write a best-seller or change the world, I will still see myself as a success.

I am a success because I am happy.


Modern Technology

The writing prompt for today is: “What piece of modern technology can you not live without?”

The word that popped out to me is “Modern.” What exactly is considered Modern? It’s a relative term that is different for everyone. what might be modern to a 10-year-old, would most certainly be different to someone who is 87.

So to me, living my 55th year, “modern technology” could mean anything from computers to FitBits.

Let’s go with that.

Computers are a given; they have invaded our society so much that most people would have a difficult time adjusting to life without them. Computers have changed the way we shop, the way we are entertained, the way we live.

Personally, I would have a hard time living without a cellphone. It’s true; I lived a long time without one, but now that I have one, it’d be tough to give it up.

I feel more secure because I know I can rely on my cell phone if my car breaks down (if I remember to charge it), or if I’m going to be late getting home (try and find a pay phone these days), and I can contact my kids if I need them (yeah … right).

I know I could do without it if I had to. But I don’t want to.

I  broke down and bought a cell phone when my kids started buying them. My first was a simple Nokia. That was before texting or computer access, so it really was just a phone. But now I can fill the memory with apps that allow me to watch videos or play games if I get really bored (and now I have a tablet to do that, too!)

I bought an Echo Dot for Jeff for his birthday and soon found myself telling my mini blue tooth speaker to “Turn it up!”

It didn’t of course. It was then that I realized maybe I was becoming too dependent on my electronics. What happened to me? have I become one of those people who texts as they cross a busy street, or looks at their phone more than the person sitting across from them?

No way! But I’m not perfect …

What will happen to us if we wake up someday and find the world has run out of electricity to run all of our fun gadgets? (I think a TV show was created from that concept.)

Maybe we have to treat our electronics like we do any other potential addiction–use in moderation; be aware we have a problem; and learn to manage it responsibly.





People in Glass Houses

My writing prompt for today is, “Make up a new ending for the saying, “People who live in glass houses shouldn’t …”

I use the traditional ending–Throw Stones–to describe people who are being too judgmental. But what popped into my head next was:

“Walk around the house naked.”

What a coincidence: I just watched a video on Facebook that showed “bubble” cabins in Europe, where you can experience nature, and sleep under the stars in the comfort of your 360-degree panoramic room.

My first thought was, “But everyone could see what you are doing,” and I don’t think I’d like that.

I am not the most private person. I can tell people I just met stories of my childhood, but I do believe what happens behind closed doors should remain private, if you get my drift. I don’t even like opening the curtain in my bathroom, that’s how concerned I am about keeping my private things private.

Some people might like the bubble-shaped cabins. It is pretty cool sleeping out under the stars; but frankly, I like to be able to walk from the bathroom to my bedroom without having to put a robe on.

But that’s just me. And I would hate to live in a glass house.


A Writer’s Gift

Every year my kids ask me what I want for Christmas, and every year my answer is the same: “Save your money to buy gifts for your kids.”

But they never listen to me. Most years, I receive a bottle of perfume, gloves, or a candle. And though I appreciate all of them, I secretly wish they wouldn’t have spent any money on me.

I understand how they feel, though. I did the same thing to my mom. (And I still do!)

But this year, I was presented with a big box from my granddaughter, Lily. The first thing I noticed was a DVD if my favorite movie, “It’s a Wonderful Life.”

The second thing I noticed was a book. I pulled it out and read the title: “300 Writing Prompts.” I opened the book and realized it was a journal. A writing journal, the best kind!

This was the perfect gift for a writer! It’s not always easy to come up with a subject for a blog. Some days the words just won’t come, but this was the answer to my writer’s block.

I still wish my kids wouldn’t spend their money on me; but then again, sometimes it’s pretty cool.

Some of the prompts include:

What is your favorite breakfast to get you up and out the door? Write about the middle of something, anything! What do you want your retirement to be like? How do you act when you’re afraid? Is there a mistake you keep making in your life? Explain.

I think I’ll start using the prompts as a blog writing exercise. Not only will it help my creative writing skills, but most likely I will learn something new about myself.


In Search of …. the Perfect Sugar Cookie

I was 6 or 7 when I tasted the perfect cookie. And I have been trying to replicate it since. They were bought at the SunMart store on Mt. Vernon Road in Cedar Rapids, where DrugTown stood for years when SunMart closed, and where Goodwill is now located.

Business started declining at SunMart after Hy-Vee moved in up the street, and I was sorry to see it go. I got my first lesson in “rights” and “wrongs” when I was caught shoplifting, before I knew the consequences for breaking the law.

I have many fond memories of the store; my first Hostess pies and Snowballs; the flavored tabs that fizzed when you put them in water to make a concoction similar to Kool-Aid; the fresh-baked donuts that melted in your mouth; and SunMart’s amazing sugar cookies.

== Here the piece breaks off for crystal structures ==
/*
An optimized crystal structure of Li2TiV3O8, computed with PBE with a Hubbard U.

Results
* formation enthalpy at 0 K: -2660.8 meV per atom
* M_tot: 5.00 μB/f.u.

The structure in POSCAR format:
```
Li2TiV3O8
1.0
6.115 -2.024 0.000
6.115 2.024 0.000
-1.998 0.000 6.272
Li Ti V O
2 1 3 8
Direct
0.000 0.000 0.000 Li
0.116 0.116 0.705 Li
0.355 0.355 0.074 Ti
0.448 0.448 0.657 V
0.669 0.669 0.052 V
0.767 0.767 0.639 V
0.182 0.182 0.036 O
0.287 0.287 0.694 O
0.412 0.412 0.350 O
0.494 0.494 0.996 O
0.621 0.621 0.728 O
0.709 0.709 0.368 O
0.833 0.833 0.011 O
0.933 0.933 0.680 O
```

* * * * *

66
Lattice="-5.1060 0.0000 0.0000 -2.5207 -4.5583 0.0000 -1.3584 -0.3774 29.4041" Properties=species:S:1:pos:R:3 comment="Li3Mn5Fe2O12 GGA+U optimized geometry" formation_enthalpy_0k_mev_per_atom=-1942 total_energy_ev_per_cell=-448.429 spacegroup="P1 (1)" magnetic_moment_mub_per_fu=28.7 pbc="T T T"
O -7.6134 -4.0026 8.3616
Li -4.8016 -0.9815 22.0491
Mn -1.2938 -2.2428 0.0561
Li -7.3795 -3.9709 4.7627
Mn -6.9839 -2.4258 14.5824
O -3.9135 -0.8227 3.4781
O -2.6323 -0.8192 8.4747
Li -3.0577 -4.0716 19.7793
Li -5.9920 -3.9953 9.9720
Mn -5.6255 -3.8822 2.4556
O -4.6974 -1.0060 18.1838
Li -2.6669 -0.8685 12.2511
O -4.9291 -2.2922 8.4261
O -3.2417 -3.8389 23.2334
O -6.9172 -2.6350 11.1367
Mn -3.3942 -4.2169 26.9359
O -5.8040 -3.9991 6.2929
Fe -2.2656 -2.4318 22.0822
O -1.7065 -1.0778 28.0555
Mn -1.2339 -0.9865 17.1329
Mn -4.8198 -4.1038 22.0734
O -4.3805 -0.8873 11.2476
Li -3.8297 -0.6684 0.0152
O -5.4933 -2.7000 15.9263
Li -0.5424 -0.7327 2.3739
Fe -3.7607 -2.5243 17.1286
Mn -5.5749 -2.4362 19.7041
O -2.7488 -1.1656 15.9175
O -1.4002 -0.9586 21.0211
Li -6.6294 -4.1987 24.4174
O -4.2973 -3.7236 11.1926
Mn -4.1729 -3.9928 7.3370
O -3.9701 -2.7261 20.9601
O -4.8158 -1.2197 25.7321
Mn -4.1841 -0.8491 7.3327
Mn -3.3384 -1.0461 26.9851
Fe -3.1016 -2.2807 2.4532
Li -4.4559 -3.9993 14.5751
O -2.9036 -4.0471 16.1023
O -4.8834 -2.4125 1.3624
Mn -6.3139 -4.0774 17.1225
O -2.5988 -2.8400 25.7850
O -7.0245 -4.0468 28.1651
O -3.1373 -0.9816 23.1133
O -6.4259 -2.5641 3.6390
Fe -5.2308 -2.3390 12.2577
O -5.0324 -4.2034 25.9057
O -3.4318 -2.4001 6.2384
O -3.9932 -3.5991 3.5917
O -3.4495 -2.6425 13.4149
O -4.1453 -2.3917 28.1602
Mn -4.0730 -2.5695 24.4535
O -2.3199 -0.8876 1.4000
O -6.4340 -3.8587 20.9879
O -6.0800 -0.9078 13.2731
O -4.6855 -3.8863 18.2198
Mn -4.8557 -2.2789 4.8022
O -5.6181 -2.7316 23.2423
Fe -5.9271 -2.6305 26.9495
Mn -3.4302 -2.3051 9.9011
O -6.1454 -3.7061 13.3703
Mn -7.7746 -4.0000 12.2555
O -2.0539 -2.4245 18.2211
Fe -6.7027 -2.3687 7.3446
O -5.6419 -0.9205 6.0874
O -7.2129 -3.7149 1.4257

* * * * *

(1)
MgTa2Fe2O8 | PBE+U | optimized geometry

Geometry as CIF:
```
data_MgTa2Fe2O8
_chemical_formula_sum 'Mg1 Ta2 Fe2 O8'
_cell_length_a 6.8566
_cell_length_b 6.8566
_cell_length_c 7.1706
_cell_angle_alpha 73.17
_cell_angle_beta 106.83
_cell_angle_gamma 146.67
_symmetry_space_group_name_H-M 'P 1'
_symmetry_Int_Tables_number 1
loop_
_symmetry_equiv_pos_as_xyz
'x,y,z'
*/

Fifty years later, and I still haven’t found a cookie, nor a recipe, that comes close to it. Funny how our taste buds hold a memory; as if I will know it’s the one when I finally taste it again.

I’m going to do my best to find the perfect sugar cookie this holiday baking season. And even if I can’t find the perfect sugar cookie, I hope I come close.


NaNoWriMo-The Last Word


It was 10:15 last night when I put the last word on the last page, ending what I considered to be one of the most important months in my career as an author. It was important, because I learned more in November about creative writing than I could ever have imagined.

I put my life on hold for practically the entire month. I worked on my novel every day, but I didn’t always reach my goal of 1,700 words. It was tough; work, family, Thanksgiving, migraines, and lack of motivation kept me from completing the overall goal of 50,000 words in 30 days (I wrote 40,294 words, but I finished my story). However, I don’t see it as a failure.

I knew a week ago I wasn’t going to make my goal, and confided to my fiancé that I knew I would finish my story by then. But there was no way I would get to 50,000.

“But you worked so hard on it, and you’ll feel really bad it you don’t ….”

Honestly, I don’t feel bad at all about it. I didn’t do it to prove to anyone I could do it. I did it so I could learn from it. I did it for the experience. And now, I know the price I have to pay if I ever needed to write a 50,000-word novel in a month. I would basically have to put everything else on hold and put all my efforts into that novel. I would have to ignore my duties as a mother, a grandmother, a daughter, and a friend just so I could complete the task.

I truly enjoyed writing the novel, but it’s not done. The editing alone will take a few months, at the very least. Which is fine with me. I’m ready to take a few days off to work on all my other projects that have been waiting patiently for me.

My advice for people wanting to do the challenge next November:

  • This will take most of your spare time. Let your friends and family know you won’t be available for the month.
  • Stick to you goal of 1,700 words a day. Once you get behind, it’s extremely difficult to catch up.
  • Don’t give up. (If you started the challenge with a purpose, chances are you won’t have to worry too much about this one.)
  • Gather a support team. Whether it’s your boyfriend, girlfriend, mother, father, brother, sister, kids, whoever; you will need them to help you brainstorm and keep you on track. They will also become your cheerleaders.

Next year I will be better prepared. And I will also have an advantage; it will no longer be my first.
